
International Energy Agency report underscores inadequacy of US government response to climate change

The International Energy Agency (IEA), a Paris-based affiliate of the Organisation for Economic Co-ordination and Development (OECD), has released a special report outlining various pathways to ensure a world with a net zero carbon emissions rate by 2050.

The report, which is titled Net Zero by 2050, states that in order to achieve a carbon neutral world by that year producers will need to immediately stop any new fossil fuel production. This is only one of 400 “milestones” along the road to 2050, and its implausibility only underscores the difficulties of combining a rational, science-based response to the danger of climate change with the maintenance of global capitalism, driven by private profits and the interests of rival nation-states.

The report, issued May 17, is billed as “the world’s first comprehensive study of how to transition to a net zero energy system by 2050.” It promises to do so “while ensuring stable and affordable energy supplies, providing universal energy access, and enabling robust economic growth,” according to its press release.

Countries will need to increase solar and wind production by roughly 400 percent more than the current rate. This would occur with a phasing out of coal and gas plants, in favor of solar and nuclear plants, as well as the retrofitting of coal and gas plants with carbon capture devices, where the carbon will later be injected underground. According to the special report, this transition must finalize before 2040. As it stands, roughly 80 percent of the world’s energy grids are powered by fossil fuels.

By 2040, a significant amount of air travel would have to be done with renewable fuels like hydrogen. By 2030, the majority of cars sold would need to be electric. By 2035 most vehicles involved in the transportation of goods would also need to make this transition.

The pathways described by the IEA also include enabling access to clean electricity and cooking to everyone in the world and making the world’s electric grid completely carbon neutral by 2040. “The sheer magnitude of changes needed to get to net zero emissions by 2050 is still not fully understood by many governments and investors,” stated IEA Executive Director Fatih Birol.

The agency, which functions as an advisor for numerous national governments, stated: “[c]limate pledges by governments to date—even if fully achieved—would fall well short of what is required” to achieve these goals. The report calls for “a historic surge in clean energy investment that creates millions of new jobs and lifts global economic growth.” The agency’s underlying assumption is that this can be done under capitalism.

The pathways and benchmarks provided by the IEA are based upon goals set by the 2015 Paris Climate Accord, a nonbinding pact which most leading world governments have signed onto. In addition to being unenforceable, the Paris Accord presumes that rival capitalist nation-states will put aside their differences for the sake of the environment.

A number of alternative approaches suggested by the IEA are problematic in their own right. Vast quantities of lithium are needed for the manufacturing of electric vehicles and for nearly every form of renewable energy. Without investment in proper recycling infrastructure, lithium extraction is itself an extremely damaging process to the surrounding environment.

Additionally, the vaunted target of limiting global warming to 1.5 degrees Celsius is also worthy of criticism. Keeping temperature rises within this limit fails to take into account various climate feedback loops that could push the global temperature to increase past that point even if net carbon emissions cease.

Typifying such inadequate responses was US President Joe Biden’s climate initiative announced on international Earth Day in April. The president unveiled his plan at a climate summit at the White House that was attended by numerous world leaders. A fact sheet presented by the White House declared that it has set “ambitious goals,” which put “the United States on an irreversible path to a net-zero economy by 2050.” Biden revealed that the United States would cut carbon emissions in half by 50 percent by 2030.

The emissions the Biden administration has pledged to cut in half are based on levels from 2005, a year with especially high pollution. Since 2005, the US has achieved a 14-15 percent decrease in overall emissions. This means that Biden, who will be long gone by 2050, can take credit for decreases that happened before he was even elected.

While the IEA’s report called for an immediate stop to any new fossil fuel production within the US, the Biden administration has, within its first few days of power, issued 31 drilling permits on federal land. The Biden administration has also approved 22 offshore drilling permits to companies, such as Shell and British Petroleum.

Biden’s Department of Justice (DOJ) recently contested a lawsuit brought forth by environmental groups to stop a Trump-approved oil extraction operation in northern Alaska. The project, dubbed “Willow,” is expected to extract roughly 100,000 barrels of oil a day for the next 30 years.

== These records of molecules were left in the piece by mistake ==
Record 1
Molecular formula: C22H34As2AuN2O2S
Method: DFT, ωB97M-V/def2-TZVPD

```
64
Properties=species:S:1:pos:R:3:forces:R:3
Au -1.20507 -2.15985 0.61052 -0.04 -0.24 0.01
As 0.74356 3.79877 0.84499 0.09 0.21 -0.01
As -4.02690 -2.48388 -1.60532 0.00 -0.01 -0.02
S -2.90915 -1.05458 -0.36094 -0.03 0.00 0.04
O 4.32262 0.75851 -3.97034 -0.01 0.00 0.01
O 3.91480 2.19187 -2.33872 -0.02 -0.01 0.03
N -0.77998 -3.45973 2.30465 -0.01 0.01 0.01
N 0.93080 -2.47696 0.55230 -0.04 -0.01 -0.06
C 1.74436 -1.69574 -0.31969 0.05 0.03 0.06
C 0.60522 3.45441 -2.04037 -0.04 -0.02 -0.03
C 1.41703 -3.25030 1.44090 -0.02 0.00 0.01
C 2.75426 -0.91044 0.22925 0.00 -0.02 0.00
C -1.67907 -3.90482 3.17520 0.00 -0.02 -0.01
C 0.05118 4.29909 -0.89719 0.00 0.03 0.01
C 2.46869 4.62606 1.17925 0.01 -0.02 0.01
C 0.50676 -3.85422 2.41530 0.02 0.03 -0.03
C 3.18798 -0.00687 -1.95396 -0.06 -0.02 -0.01
C -1.33077 -4.78131 4.19941 -0.01 0.00 -0.01
C -4.67566 -3.93024 -0.53384 0.00 0.00 0.01
C -5.49275 -1.48551 -2.31660 0.00 0.00 0.00
C 2.20959 -0.83162 -2.50148 0.03 0.00 0.02
C 3.37284 4.70267 -0.04464 -0.03 -0.01 -0.03
C 3.46396 -0.05614 -0.59201 0.03 0.02 0.01
C -0.52443 4.24315 2.24836 -0.01 0.01 -0.02
C -0.01963 -5.19958 4.31108 0.02 0.01 -0.02
C 0.92357 -4.72159 3.40045 -0.02 -0.02 0.03
C 1.46540 -1.66296 -1.67861 -0.01 -0.01 0.00
C 3.85506 1.07120 -2.76358 0.03 0.03 -0.05
C -2.93075 -3.15818 -3.02149 0.01 0.00 0.00
C -0.56748 5.75530 2.49474 -0.01 0.00 -0.01
H 0.27687 -5.88290 5.09551 0.00 0.00 0.00
H 0.32296 2.40605 -1.92877 0.00 0.00 -0.01
H 1.99726 -0.79715 -3.56283 -0.01 0.00 0.00
H -2.57723 -2.32591 -3.62651 0.00 0.00 0.00
H 1.96242 -5.01753 3.46239 0.00 0.00 0.00
H 3.60342 3.72407 -0.46406 0.01 0.01 0.03
H -0.23178 3.69424 3.14277 0.01 0.01 0.00
H -5.30114 -3.53032 0.26174 0.00 0.00 0.00
H 0.36666 6.12681 2.91158 0.00 0.00 0.00
H 2.93533 5.31483 -0.83313 -0.01 0.01 0.01
H 0.32064 5.35369 -1.00963 0.00 0.00 0.00
H 2.95180 -0.93864 1.29365 0.00 0.01 0.00
H 0.67941 -2.28543 -2.08773 0.00 0.01 0.00
H 4.35718 -0.19479 -4.12354 -0.01 -0.01 -0.01
H -6.12247 -1.14566 -1.49659 0.00 0.01 0.00
H -6.06238 -2.13873 -2.97768 0.00 0.00 0.00
H -2.69536 -3.55393 3.05632 0.00 0.00 0.00
H -3.53854 -3.82661 -3.63184 0.00 0.00 0.00
H -5.26649 -4.58566 -1.17434 0.00 0.00 0.01
H -5.11004 -0.63390 -2.87546 0.00 0.00 0.00
H 1.68908 3.51035 -2.10805 0.05 -0.01 0.01
H 0.19332 3.81621 -2.98190 0.00 0.00 0.00
H -2.09238 -3.70800 -2.59860 0.00 0.00 0.00
H 4.22631 0.59229 -0.18077 0.00 0.01 0.00
H 2.92451 4.08381 2.00828 0.00 -0.01 -0.01
H 2.20099 5.62006 1.55190 0.01 0.00 0.00
H -1.35538 5.96456 3.21815 0.00 0.00 0.00
H -3.83413 -4.48170 -0.11960 0.00 -0.01 -0.01
H 2.48607 -3.44581 1.49580 0.00 0.00 0.00
H -1.03476 4.23631 -0.82439 0.00 0.01 0.01
H 4.31004 5.17511 0.24697 0.01 0.00 -0.01
H -1.49002 3.86244 1.91485 0.01 -0.02 0.00
H -0.79770 6.31523 1.58812 0.00 0.00 0.00
H -2.09051 -5.11993 4.88974 0.00 0.00 0.00
```
Forces are in eV/Å.

Summary:
total charge: +3
E: -166619.6204 eV

Leaving aside the political improbability of the US actually following the path outlined in Biden’s plan, there is a more fundamental issue: If the world as a whole is to reach net-zero emissions, this cannot be a matter of each of more than 200 countries separately reaching that goal. For many of the poorest countries, that would be a recipe for mass starvation. To overcome poverty and malnutrition, their energy consumption must grow.

A global solution to the climate change crisis thus necessarily requires global economic planning, which is incompatible with both the nation-state system and the profit interests of nationally based corporations and banks.

The New York Times, the mouthpiece of the American ruling class, has sought to provide apologetics for the Biden administration. An article last month, headlined “Biden’s Fossil Fuel Moves Clash With Pledges on Climate Change,” sought to explain away the administration’s hypocritical moves, saying: “Biden is trying to avoid alienating a handful of moderate Republicans and Democrats from oil, gas and coal states who will decide the fate of his legislative agenda in Congress.”

In fact, the paralysis of the entire capitalist class in the face of the climate crisis is rooted not in this or that pragmatic maneuver but in the profit system itself. And in addition to all rational and scientific responses being contingent upon the profitability of various energy conglomerates, the ruling class is also seeking to gain ground against its various geopolitical rivals.

This is demonstrated by the White House fact sheet’s declaration that the new climate initiative will “Center the Climate Crisis in U.S. Foreign Policy and National Security Considerations.”

Biden has named former Obama Secretary of State John Kerry as his climate envoy. As the World Socialist Web Site noted in January, this appointment, as with the rest of Biden’s agenda, is “driven, first and foremost, by the geopolitical needs of American imperialism.” This related particularly to Washington’s “predatory aims for the subjugation of China and Russia, which Washington regards as its two biggest military and security rivals,” the WSWS explained.

From the recent unveiling of Biden’s massive military budget proposal, which focuses on the US’s mounting confrontation with China, as well as the administration’s efforts to blame the latter for COVID-19, to the Centers for Disease Control and Prevention’s abandonment of public health as the pandemic continues, the US capitalist class has made clear its intent to pursue profit at the cost of human life.